5 Practical Techniques For Better Work From Home

== Next to the article, the page also holds calculated molecules ==
____________
{"formula": "C5H9NOS", "method": "wB97M-V/def2-TZVPD", "homo_lumo_gap_ev": 8.5, "lumo_ev": -0.07, "total_charge": 0, "max_force_ev_per_a": 8.8, "homo_ev": -8.62, "symbols": ["S", "C", "H", "O", "H", "N", "C", "H", "H", "H", "H", "C", "H", "C", "C", "H", "H"], "positions_angstrom": [[-3.20, -0.06, 0.17], [0.93, -0.54, 0.78], [1.46, 1.35, 1.40], [1.29, -1.26, -0.50], [-2.57, 1.05, 0.35], [0.02, 1.42, -0.56], [-0.47, -0.42, 0.61], [-1.87, -1.53, -1.04], [-0.99, 0.41, 1.12], [2.08, 1.19, -0.33], [-0.21, -0.72, -1.57], [-0.47, -0.01, -0.76], [0.42, 1.85, -1.37], [-1.66, -0.78, -0.36], [1.30, 1.00, 0.33], [1.64, -0.79, 1.68], [2.30, -2.16, 0.05]], "nbo_charge": [0.013, 0.070, 0.188, -0.718, 0.113, -0.621, -0.304, 0.232, 0.229, 0.200, 0.263, -0.090, 0.358, -0.290, -0.247, 0.204, 0.398]}

=====

Entry i
{
  "formula": "C4H11NO4",
  "method": "wB97M-V/def2-TZVPD",
  "species": ["C", "O", "C", "C", "O", "C", "N", "O", "O", "H", "H", "H", "H", "H", "H", "H", "H", "H", "H", "H"],
  "xyz": [[-0.24203, 2.04919, -1.22642], [-0.69687, 1.02022, -0.37932], [0.07576, -0.20578, -0.26838], [1.57066, 0.01903, -0.10766], [-0.23574, -1.00595, -1.38854], [-0.54663, -0.91988, 0.95453], [-0.24349, -0.21813, 2.14384], [-1.91893, -1.08261, 0.78396], [0.13022, -2.19154, 0.99070], [-0.10170, 1.70199, -2.25762], [0.68999, 2.49153, -0.85852], [-1.01818, 2.81340, -1.21396], [1.74172, 0.72956, 0.69501], [2.03809, -0.92458, 0.15856], [2.00972, 0.37819, -1.03693], [0.12775, -0.56545, -2.16827], [-0.36177, -0.82561, 2.94516], [-0.84826, 0.59025, 2.22063], [-2.10939, -1.18935, -0.15688], [-0.06091, -2.66448, 0.17010]],
  "lowdin_charge": [-0.092, -0.117, -0.514, 0.011, 0.035, -0.621, 0.149, 0.065, 0.026, 0.088, 0.088, 0.094, 0.092, 0.094, 0.087, 0.107, 0.101, 0.103, 0.103, 0.101],
  "e_homo_ev": -9.866,
  "orbital_gap_ev": 10.47,
  "charge": 0
}

Entry ii
{
  "formula": "C4H11NO4",
  "method": "wB97M-V/def2-TZVPD",
  "species": ["C", "C", "O", "O", "C", "O", "O", "C", "N", "H", "H", "H", "H", "H", "H", "H", "H", "H", "H", "H"],
  "xyz": [[0.14454, 1.69543, 0.70716], [0.62208, 0.27876, 0.55284], [1.88969, 0.13663, 0.14748], [0.99556, -0.36587, 2.08744], [-0.36113, -0.76057, -0.03377], [-0.06130, -2.04875, 0.41358], [-1.65874, -0.36492, 0.37998], [-0.26820, -0.82388, -1.57843], [-0.74248, 0.33606, -2.30410], [0.89557, 2.27492, 1.24054], [-0.81819, 1.72961, 1.20795], [0.03715, 2.12579, -0.28937], [2.09216, -0.46594, 1.06011], [1.12402, 0.30880, 2.76502], [0.14785, -1.97865, 1.35882], [-2.24654, -1.11061, 0.20510], [-0.86625, -1.69461, -1.86695], [0.76551, -1.03228, -1.85091], [-0.07071, 1.09295, -2.28324], [-1.62059, 0.66713, -1.91924]],
  "lowdin_charge": [0.013, -0.426, -0.012, -0.093, -0.535, 0.045, 0.025, -0.182, 0.023, 0.096, 0.092, 0.088, 0.183, 0.084, 0.098, 0.115, 0.125, 0.126, 0.064, 0.072],
  "e_homo_ev": -9.352,
  "orbital_gap_ev": 9.96,
  "charge": 0
}

Going by the computed energies, the most stable comes first: entry i, entry ii.

Entry i
{
  "formula": "H10O5",
____________

Nowadays due to the Corona virus disease we are forced to do our work, from home. In earlier  times we use our home for relaxing and for spending time with our beloved ones.  but now we have to change our leisure place to a strict work place.How can we do that? Here I am providing you a few but essential techniques to change our home to a better home office.

  • Separate Workspace. 

This is the fundamental thing for getting more productivity while work from home. The real benefit of the separate workspace is that, it is easy to convince our family members about the importance and attention we give to our job. When we are in that workspace we have to do only our job. This separate workspace should be a different space from our usual place or family get together place. It is better to arrange one table and chair in that space. If you are struggling space constraint, you can set up a space in your own bedroom, by allocating separate space in our bedroom or separating our space in our own bed from a different position from our usual space. The psychological theory behind this separate workspace is proven by great Doctors. If we can allocate  a separate space and we are only doing our work at that space, we used to, whenever we enter into that space we automatically motivated to do our job.

  • Strict working time.

Everyone has a misconception about work from home is that the employees will take so much time for relaxation but the actual thing that happening is a different thing. That is a lot of people forgot the thing to take breaks during the work. It will create so much defects to the workers productivity. There fore all workers should set a time space for work and everyone should leave the workspace after the allocated time reached its end. The main advantage of this thing is that we got enough time to spent with our family and friends and also we can do our work with almost full productivity. We don't need to mix our personal life with our work life.

  • Keep the usual office attire 

Work clothing and office attire is also important for work from home. There are 2 important benefits for this technique, first one is, it will help us to psychologically motivate and do our work while pretending like we are in office and the second benefit is that while we are attending a meeting it is easy and convenient if we are in our office attire.

  • Create a clear cut terms with family and friends.

The main distraction comes from our beloved family or friends while we are doing our work from home. So firstly we have to set our ground rules with them. We should clearly inform them about our breaks, meeting time, and all other timings. Thus we can avoid accidental intervention from our family and friends to our workspace.

  • Better work ending routine.

If we are working from office we have an exit time from office and we are sometimes forced to complete our work before that and we came to our shelter. During the chatting with our 
colleagues at the end of the day or during the travelling from office to home, we got enough time to leave the work pressure from our brain and body and get a good mental atmosphere to chill with family and friends. So while we are doing work from home, we also have to create a routine to end our day properly by taking a walk with our pet dog or watching some favorite series or having an day end meet with colleagues. It will help us to inform our body and mind that today's work is over and the leisure time is starting now.


If we follow these practical techniques we can be a good productive efficient employee for our company and a good responsible family person and a joyful friend too.
